Archive for March, 2006

31st March 2006

Friday, March 31st, 2006

Easter Afternoon Tea Party

A big thank you to the School Association for organising this fantastic event which was enjoyed by so many people. It was wonderful to see the children enjoying the different activities organised by our Educational Assistants and they looked splendid in their Easter hats. The winners of the hat competition were:
Kali Holder (Year 1)
Jed Hughes (Year 1)
Jem Ward (Year 5)

Easter Assembly

On Wednesday we enjoyed a special assembly given by Father Fayres from St Paul’s Church. He reminded us all about why we have Easter traditions and was very impressed by the thoughtful questions the children asked.

Year 2 Visit

Wednesday also saw our intrepid Year 2 children going off on a mini-beast safari at Woods Mill. They had a great time looking at all the beasts they could find in different habitats and were so interested and well behaved all day.

Swimming Award

Congratulations to Hardy Churchill in Year 1 for passing his 5m Puffin Swimming Award

Reading Book Bags

The office now has a new stock of reading book bags. They cost £3.50 for cloth bags and £1 for plastic bags.

Silence is Golden

Anyone walking into the Year 2 classroom last Friday morning might have thought that there were no children in there at all. They all did incredibly well in keeping silent for three hours in order to raise money for the Uganda Appeal. Sponsor money is still coming in but the total is already over £600. Thank you to everyone for your sponsorship and well done Year 2.

Festival Parade

As the parade draws ever closer, more and more palm trees are sprouting up in the school. They will look fantastic as part of the parade along with our samba band. The other children taking part will all have shakers and we would like your help with donating rice and lentils to fill them (out of date goods would be ideal) and also making them. If you are able to help during the week beginning 24th April then please speak to Mrs. Noble. Look out for more details on the parade after Easter.

Let’s Stomp!

Year 3 gave a wonderful performance of their dance to the school and their parents this morning. It will look and sound amazing when they perform it at the Dome as part of the ‘Let’s Dance’ festival on Monday 24th April.

Lost Mobile Phone

Alannys Diaz in Year 4 has lost her mobile phone this week. It’s a blue Nokia camera phone and was last seen in the cloakroom. If anyone finds it please hand it in to the office. Can we remind you that anything of any value should be handed into the office for safe keeping as we cannot be held responsible for anything lost that hasn’t been handed in.

Bright Sparks

Year 4 have been working extremely hard on designing and making their own electrical games. They came up with some wonderful ideas and their parents came in to see the finished products on Monday after school.

Dinner Money

Just a reminder that school dinners will cost £1.65 per day after the Easter holidays. It would also help the office if you are able to pay for the week on Monday mornings.

Penalty Shoot Out Prize

Congratulations to Coltrane Chead in Year 5 who won the prize for collecting the most money for our sponsored penalty shoot out last month. He raised over £70 in sponsorship and was presented with a signed football from Brighton and Hove Albion today in assembly. Well done Coltrane.

Easter Holidays

School closes for the Easter holidays today and reopens on Wednesday 19th April. It has been a fantastic term with so many wonderful things happening that it feels as though it has gone very quickly. Thank you to all of the children for your hard work and enthusiasm and to the parents/carers for your support and commitment to the school. Have a safe and enjoyable holiday and we will look forward to seeing you next term.

• Someone pasted data records at this point:
~~~
Entry 1:
Structure and theoretical XRD peak list of Sr4Cd2In (a GGA-PBE-relaxed structure; Cu Kα (weighted mean of Kα1 and Kα2)).

Largest 8 diffraction maxima, in order of falling intensity, 15 to 90 degrees two-theta:
2θ 31.19, d = 2.868 Å, rel. 100, hkl 1 1 0; 2θ 55.50, d = 1.656 Å, rel. 38, hkl 3 0 0; 2θ 44.69, d = 2.028 Å, rel. 18, hkl 2 0 8; 2θ 73.90, d = 1.283 Å, rel. 16, hkl 3 1 8; 2θ 65.05, d = 1.434 Å, rel. 12, hkl 2 2 0; 2θ 18.95, d = 4.683 Å, rel. 6, hkl 0 0 6; 2θ 18.15, d = 4.889 Å, rel. 5, hkl 1 0 1; 2θ 36.75, d = 2.446 Å, rel. 3, hkl 1 1 6

a = 5.7323 Å, b = 5.7323 Å, c = 28.1303 Å
α = 90.00°, β = 90.00°, γ = 120.00°
Space group R-3m (No. 166, hexagonal axes)
Unique sites:
Sr  0.0000  0.0000  0.1243 (multiplicity 6)
Sr  0.0000  0.0000  0.3752 (multiplicity 6)
Cd  0.0000  0.0000  0.2484 (multiplicity 6)
In  0.0000  0.0000  0.5000 (multiplicity 3)

Entry 2:
Structure and theoretical XRD peak list of Sr2ZnCd3In4 (a GGA-PBE-relaxed structure; Cu Kα (weighted mean of Kα1 and Kα2)).

Largest 8 diffraction maxima, in order of falling intensity, 15 to 90 degrees two-theta:
2θ 30.55, d = 2.926 Å, rel. 100, hkl 1 1 2; 2θ 38.47, d = 2.340 Å, rel. 67, hkl 2 0 0; 2θ 39.62, d = 2.275 Å, rel. 51, hkl 1 1 4; 2θ 28.65, d = 3.116 Å, rel. 45, hkl 1 0 3; 2θ 40.85, d = 2.209 Å, rel. 34, hkl 1 0 5; 2θ 57.36, d = 1.606 Å, rel. 24, hkl 2 1 5; 2θ 55.54, d = 1.655 Å, rel. 22, hkl 2 2 0; 2θ 64.72, d = 1.440 Å, rel. 22, hkl 3 1 2

a = 4.6800 Å, b = 4.6800 Å, c = 12.5304 Å
α = 90.00°, β = 90.00°, γ = 90.00°
Space group P-4m2 (No. 115)
Unique sites:
Sr  0.0000  0.5000  0.2383 (multiplicity 2)
Zn  0.5000  0.5000  0.0000 (multiplicity 1)
Cd  0.0000  0.0000  0.0000 (multiplicity 1)
Cd  0.0000  0.5000  0.6464 (multiplicity 2)
In  0.0000  0.0000  0.5000 (multiplicity 1)
In  0.0000  0.5000  0.8706 (multiplicity 2)
In  0.5000  0.5000  0.5000 (multiplicity 1)

Entry 3:
Structure and theoretical XRD peak list of Ta2CdIn (a GGA-PBE-relaxed structure; Cu Kα (weighted mean of Kα1 and Kα2)).

Largest 8 diffraction maxima, in order of falling intensity, 15 to 90 degrees two-theta:
2θ 36.68, d = 2.450 Å, rel. 100, hkl 1 1 0; 2θ 39.11, d = 2.303 Å, rel. 21, hkl 0 2 0; 2θ 42.44, d = 2.130 Å, rel. 17, hkl 1 0 -2; 2θ 69.28, d = 1.356 Å, rel. 15, hkl 1 3 0; 2θ 46.05, d = 1.971 Å, rel. 13, hkl 1 0 2; 2θ 73.86, d = 1.283 Å, rel. 13, hkl 1 1 -4; 2θ 59.07, d = 1.564 Å, rel. 12, hkl 1 2 -2; 2θ 77.99, d = 1.225 Å, rel. 11, hkl 0 2 4

a = 2.9041 Å, b = 4.6064 Å, c = 5.8005 Å
α = 90.00°, β = 94.44°, γ = 90.00°
Space group P2/m (No. 10)
Unique sites:
Ta  0.0057  0.0000  0.2501 (multiplicity 2)
Cd  0.5000  0.5000  0.0000 (multiplicity 1)
In  0.5000  0.5000  0.5000 (multiplicity 1)

Entry 4:
Structure and theoretical XRD peak list of TbCdIn6 (a GGA-PBE-relaxed structure; Cu Kα (weighted mean of Kα1 and Kα2)).

Largest 8 diffraction maxima, in order of falling intensity, 15 to 90 degrees two-theta:
~~~

24th March 2006

Friday, March 24th, 2006

School Closure

The school will be closed on Tuesday 28th March due to strike action. You should have received a letter earlier in the week explaining the situation and reasons for closure. If you did not receive a letter you can obtain one from the office.

Maths Week

This week all the children have been enjoying extra maths activities and having the opportunity to explore and investigate mathematical problems in more depth. They have ended the week with a visit to the hall where Mr Dyer has set up lots of challenging maths activities and puzzles. Some of them are really hard!

This Is How We Do it

If you would like to know more about how calculations are taught in school there is a booklet that you may find helpful. The booklet is titled ‘This Is How We Do It’ and can be purchased at a cost of £7 or £8 if you would like the booklet and CD rom that accompanies it. If you would like to have a look through the booklet first please ask at the office where they can show you one. Please place your order with payment at the office.
We also have on sale a book that can help with general learning. This book is called ‘Top Tips for Learning’. It can be looked at and purchased from the office at a cost of £3.50.

Ms Whiting’s Trip to Uganda

Ms Whiting has been overwhelmed by your generosity. She has been given many many donations of a variety of items to take with her on her trip to Uganda. She now has three very large full bags to take with her. Ms Whiting would like to say a very big THANKYOU to all who contributed.

Cross Country

Well done to Josephine, Aaron, Daisy in Year 6 and Jasmine, Delilah, Sasha, Nathan and Zeke in Year 5. They ran really well despite the cold and uncomfortable conditions. A special Thank you to Ms Busby who organised the runners and attended the event with the children.

Brazilian Football

A group of Year 5 and 6 children are competing in a Brazilian Football tournament at Sussex University to day.

Are You a Drip

On Wednesday, children in Key Stage 2 enjoyed a show on water conservation. The show was put on by Face pack Theatre and sponsored by Southern Water. Everyone was given a free water bottle at the end of the show.

Invite for Year 4 Parents/Carer

Ms Stewart and the Year 4 children would like to invite Year 4 Parents /Carers to come into school at 3.05 on Monday. They thought you might like to try out some of their electrical games they have made in their Design Technology lessons.

Easter Egg Raffle

Please continue to donate Easter Eggs for our Easter raffle. Raffle tickets are on sale at the office.

Afternoon Tea

Do remember to come along to the School Associations Easter Afternoon Tea on Thursday in the hall at 3.00. There will be lots of delicious things to eat and activities to enjoy. Don’t forget to wear your Easter hat, you may win a prize!

Dinner Money

Mrs Walker says, please can you pay any outstanding dinner money by the end of next week. It is the end of the financial year and we have to make sure everything is in order. Mrs Walker would also like to inform you that the cost of a school dinner is going up to £1.65 from 19th April.

We need …

If you have any spare clothes suitable for infant children, please could we have them. We particularly need clothes for girls.
Years 3 and 4 need paint shirts. If you have any old shirts or T shirts they could use when painting, please drop them into the office. Large men’s T shirts are most suitable. Thank you.

Missing Coat

Jake in Year 6 only had his new coat for about a week before it disappeared. He is missing it terribly! Please could you check your child has the correct coat or if you can recall seeing a black and grey coat with a hood and velcro pockets please let us know at the office. Could I also take this opportunity to remind everyone to name clothing very clearly as this helps when things do go missing.

Congratulations to..

Mia and Inez Ebdon have both achieved their 8 Kyu Ninpo Taijutsu. Well done Mia and Inez!

Picnic Benches for Sale

We have too many picnic benches in the playground taking up valuable playing space. We would like to sell 4 of the picnic benches at £10 each. If you would like to buy one or more please see Mrs Brill in the office.

Easter Holidays

School finishes on Friday 31st march and reopens again on Wednesday 19TH April.

17th March 2006

Friday, March 17th, 2006

Year 2 Assembly

We all enjoyed Year 2’s Assembly telling the story of the Gruffalo. They told the story with such enthusiasm and joy. Thank you Year 2 for such a wonderful performance and a great start to the day!

Katie Whiting’s Trip to Uganda

Ms Whiting will be spending her Easter holidays in Uganda undertaking voluntary work caring for abandoned and orphaned babies. Ms Whiting is raising funds via a sponsored silence with Year 2 and collecting donations of goods to take with her. She has sent home a separate letter to you listing donations she would like to take with her.

Parents Evening

Thank you to all of you who completed a feedback form on our new style Parent/carers evenings. The new format was a great success! Parents/Carers and Teachers all enjoyed the evening. Using the classrooms as a meeting venue meant the meetings were more private and comfortable. Lots of you enjoyed the opportunity to look through your child’s work and see just what they get up to at school all day

After School Language Classes

You were recently asked in a past Friday News if you were interested in an after school language club. The most popular language seems to be French. If we were to offer a French language club it would be at a cost of £40 for five weeks. The price includes a very useful CD to be used at home to help your child practice the language. If you are still interested in your child joining the club and happy with the cost please let the office know as soon as possible.

Meditating Year 6

Year 6 returned from the Buddhist Centre looking very serene and at one with the world. They enjoyed a session on meditation and have found out lots of interesting facts on the Buddhist faith. Ms McNally and Mr Collins said the class were a real credit to the school and their parents.

Year 1’s Visit to St Pauls Church

Year 1 went along to St Pauls church in West Street. They had a wonderful experience looking at the stained glass windows and paintings as well as listening to stories and facts about the history of the church. The children were taken round by the Church Warden.

Easter Raffle

Please bring donations of Easter Eggs to the office. Raffle tickets will be on sale from next week at 25pence each or 5 for a £1.

Easter Hat Competition

Everyone is welcome to enter the competition, which will take place on the 30th March at the Easter Afternoon Tea. There will of course be prizes for the most original designs.

Sponsor Money Total

We have counted all the sponsor money from our Penalty Shoot-out
We have collected the grand total of £708. We share the money equally with Brighton and Hove Albion who organised the event for us. Well done to all the children and staff who scored!

Maths Week

Next week is Maths week in school. Each class will be exploring and investigating mathematical problems and number activities.

Congratulations to..

Ariel Matsui-Le Roy in Year 3 achieved third place KATA (set form) in his age group in the SAMA Karate Competition on Sunday 12th March. Well done Ariel!

Easter Break

We finish for the Easter break on Friday 31st March and return to school on Wednesday 19th April.

10th March 2006

Friday, March 10th, 2006

Poetry Day

A group of Year 5 children are enjoying a day at Falmer School writing and performing their poetry. They will be joining children from other schools for the day.

More Plastic Bottles Please

We need more plastic bottles with lids. We need the bottles to make shakers for the Festival Parade. As you know our theme is ‘Brazilian Fruit’ and our colour scheme will be orange, yellow and green, the fruitier the better!

Cross Country

A group of energetic children have begun training for the Brighton Cross Country running event at Waterhall on Saturday 18th March. Ms Busby is kindly giving up time to be at the event and cheer the children on. We have some excellent runners so I’m sure they will do well.

Mobile Phones for Guide Dogs

Mrs Walker would like people to donate any old mobile phones you no longer use. The phones, whatever their condition are worth £3.50p to the Guide Dog association. The money made from the old phones, go towards the purchase and training of a Guide Dog for the blind. Please bring your old unwanted phones to the office and we will send them off.

Parent/Carer Group

Mr Owers and Mr Dew are now ready to invite you to a Parent/Carers Drop-in group on Thursday 16th March 2.00 – 3.00. which will take place in the Family room. The group is an informal opportunity for you to share ideas and strategies for supporting your child at home. Topics up for discussion can cover issues such as getting them off to bed, sleep worries, eating their greens, doing homework, transition to Secondary school etc. If you are interested please let the office know, as we are only able to accommodate 10 people. There will of course be tea and biscuits.

Polite Reminder

Please could all Parents/Carers wait in the playground when collecting children at the end of the day. We know it’s cold outside but we must ask you to remain outside as we need to keep corridors and the reception area clear for health and safety purposes. We are hoping to provide a shelter for Parents/Carers to use in the future if we are successful in our bid for Travel Plan funding.


A reminder for Years 4, 5 and 6 Parents/Carers that Basketball club on Thursday after school has finished for now.

Congratulations to..

Erin Tanyar in Year2 has just achieved her first grading in Kung Fu. Although Erin is the youngest in her class she achieved the highest grade and was the only one to receive an ‘A’. Very well done Erin!

Afternoon Tea

The School Association will be putting on one of their fantastic Afternoon Teas before the Easter holidays. The Tea will take place in the school Hall on Thursday 30th March from 3.00 pm. You can find more information on the attached letter from the School Association.

3rd March 2006

Friday, March 3rd, 2006

Festival Parade

Our theme this year is Brazilian Fruit and we have chosen to have an orange and yellow colour scheme. We need plastic bottles, any shape, with lids, for making shakers. Please bring these to the office. We hope many parents will be able to help with preparation for the parade this year. Parent’s workshops are coming soon!

Shoe Boxes

Year One would like shoe boxes with lids. Please bring to the office.

School Association

Thank you to everybody who attended the School Association meeting on Wednesday this week. There will be a letter to follow with details of Easter Events.

Animation Day

A group of Year Six children enjoyed an animation day at Falmer School with Mr Dyer.

Shakespeare Day

A group of Year Six children have been at Falmer School with Mr Collins today for a Shakespeare Day. We look forward to hearing all about it.

Poetry Day

Next Friday a group of Year Five children will be attending a Poetry Day at Falmer School.

Reminder to Year Four and Year Six Parents

The school has to make the final payments for the Year Four visit to Pyke House and the Year Six visit to Little Canada by the end of May. There is still a lot of money outstanding, so please could parents make payments to the school office a.s.a.p. Thank you.

Congratulations to

Curtis Barrell-Shearer in Year Two who has not only passed his ASA Level 4 in swimming, but has also been awarded his red belt in karate! Well done Curtis, you have been busy!

Ariel Matsui Le Roy in Year Three who has gained his orange stripe belt in karate. Well done Ariel!

Sponsor Money

If you still owe sponsor money for the penalty shoot out, please bring to school by Friday 10th March at the latest. Thank you.

Parent Consultations

Parent Consultation evenings are Tuesday 14th March and Thursday 16th March. You will receive an important letter about this next week. Please read carefully about the new format.

Easter Holidays

Last day of term is Friday 31st March.
Children return to school Wednesday 19th April.

Weather Warnings

Please listen to local radio stations if there is snow to find out if it has been necessary to close the school.